Camp YavnehCamp Yavneh
November 01, 2019

Torah Minute with Rav Yaakov – Noach 5780

Author - Bil Zarch

Noach – The Rainbow Connection

This week’s Parsha describes two generations of people who sinned and were punished for it, the Dor HaMabul – Generation of the Flood, and the Dor HaFlaga, Generation of the Dispersion. The Dor HaMabul, of course, was the generation lost in the great flood during which God told Noach to build an ark to survive. What was their sin? The Torah describes how the people lost their fear of God and were behaving with depravity and immorality — killing, stealing, a total societal breakdown. The Dor HaFlaga was the generation of those who built the Tower of Bavel – a great tower through which they aimed to surpass God. For this, their punishment was God changing their languages to all be different from one another, and they were consequently dispersed from one another, to scatter all over the world.  

Reading this, we might ask the same question that numerous commentators raise: Why did the Dor HaMabul receive the harsher punishment of being destroyed and wiped off the face of the earth while the Dor HaFlaga, who rebelled directly against God, was only spread throughout the world? Wouldn’t it make sense for them to deserve worse? 

The commentaries explain that as wicked as they were, the Dor HaFlaga lived peacefully and in harmony with one another. However, the Dor HaMabul was filled with crime and robbery, with a total collapse of the social order. The unity the Dor HaFlaga displayed with one another resulted in a more lenient punishment, showing us the greatness of the value of building peace between people. 

The flood concluded with a sign from God that God will not destroy the world again – a rainbow. The rainbow has many different colors, joining together to create a greater beautiful whole. This teaches us that the key to achieving peace in the world and preventing further destruction is working to bring together the different “colors” of humanity, that were so long ago dispersed, into a unified whole. Each summer, we are privileged to create this kind of unified world at Yavneh.  

## Molecular data, as found in the file
<<<
(1)
25
Properties=species:S:1:pos:R:3:mulliken_spin:R:1 method="wB97M-V/def2-TZVPD" charge=0 spin_multiplicity=4 total_energy_ha=-1644.3594 homo_energy_ev="-7.380 / -7.983" orbital_gap_ev="7.57 / 7.65" fmax_ev_per_a=3.661 relative_energy_kj_mol=120.1
V 0.724 -0.018 0.626 2.377
C -2.650 2.148 -0.395 -0.002
C -1.474 1.236 -0.304 0.229
N -0.635 1.240 0.710 0.050
O -0.933 2.076 1.790 0.000
C -1.131 0.289 -1.295 0.039
C -1.799 0.176 -2.630 0.002
N -0.097 -0.486 -0.954 0.043
O 0.369 -1.340 -1.778 0.129
H -2.990 2.402 0.606 0.004
H -3.457 1.683 -0.953 0.004
H -2.362 3.067 -0.909 0.014
H -0.186 1.978 2.405 0.010
H -2.018 1.157 -3.047 0.003
H -2.726 -0.392 -2.548 0.002
H -1.123 -0.362 -3.294 -0.001
N 1.689 -1.947 0.463 0.006
C 2.677 -2.097 1.527 0.000
C 3.002 -0.672 2.051 0.029
O 4.023 -0.422 2.647 0.014
O 2.037 0.123 1.782 0.043
H 1.086 -2.766 0.377 0.006
H 2.137 -1.827 -0.449 0.007
H 3.601 -2.597 1.211 -0.002
H 2.236 -2.652 2.362 -0.004


(2)
22
Properties=species:S:1:pos:R:3:mulliken_charge:R:1 method="wB97M-V/def2-TZVPD" charge=+2 total_energy_ha=-872.0968 homo_energy_ev=-17.803 orbital_gap_ev=7.24 fmax_ev_per_a=4.888 relative_energy_kj_mol=461.6
C 0.815 1.659 0.796 -0.187
C -0.165 -0.229 -0.206 0.322
C -1.306 0.707 -0.810 -0.415
C -1.008 2.250 -0.497 -0.355
C 1.996 -0.446 0.938 -0.834
C -0.204 -3.036 -0.114 -0.841
N -2.018 1.433 0.238 -0.449
N 0.070 2.551 0.315 0.058
N 0.775 0.322 0.542 0.056
O -0.766 -1.679 -2.323 -0.501
S 0.270 -1.672 -1.309 0.521
H 1.490 2.118 1.415 0.483
H -1.707 0.235 -1.700 0.658
H -1.415 3.044 -1.009 0.531
H 2.867 0.101 1.218 0.410
H 2.124 -1.180 0.129 0.331
H 1.659 -1.156 1.770 0.366
H -0.437 -2.643 0.848 0.328
H 0.653 -3.740 -0.091 0.356
H -0.954 -3.673 -0.456 0.412
H -3.031 1.436 -0.018 0.336
H 0.295 3.597 0.322 0.415


(3)
21
Properties=species:S:1:pos:R:3:mulliken_charge:R:1 method="wB97M-V/def2-TZVPD" charge=+1 total_energy_ha=-453.8455 homo_energy_ev=-14.072 orbital_gap_ev=8.50 fmax_ev_per_a=3.163 relative_energy_kj_mol=453.6
C 0.945 -0.117 -1.003 -0.975
C 1.922 -0.548 -0.020 0.644
C -0.280 -0.088 -0.414 0.589
C 3.398 -0.591 -0.008 -1.077
C -1.623 0.087 -0.900 -0.282
C -2.250 1.241 -0.062 -1.173
N 1.243 -0.936 1.022 -1.142
N -0.563 -1.591 2.782 -0.655
N -0.058 -0.573 0.873 1.014
N -0.879 -0.899 1.844 0.411
H 1.189 0.268 -2.008 0.329
H 3.850 -0.081 -0.895 0.321
H 3.777 -0.236 1.038 0.288
H 3.949 -1.456 -0.076 0.351
H -1.518 0.304 -1.975 0.319
H -2.241 -0.903 -0.707 0.247
H -1.831 -0.383 1.862 0.315
H -2.645 1.018 1.031 0.265
H -3.156 1.605 -0.402 0.384
H -1.405 1.922 -0.001 0.387
H 0.449 -1.880 2.591 0.440


The ion CH8N4 with charge +2 at a distorted geometry. Source: OMol25; level of theory: ωB97M-V with the def2-TZVPD basis set.

```
13
CH8N4 ωB97M-V with the def2-TZVPD basis set
N -1.062 0.805 -0.047
N -1.160 -0.496 0.166
C -0.035 -1.276 -0.325
N 1.065 -0.475 0.196
N 1.140 0.828 0.107
H -0.962 1.131 -1.119
H -1.625 1.480 0.489
H -1.776 -0.815 0.959
H -0.063 -2.294 0.148
H -0.038 -1.507 -1.408
H 1.555 -0.914 0.977
>>>
## Here the page continues

Questions for the Shabbat table:

  • Think of a time in your life when you worked on a group project to create something. What were the rewards and challenges of the experience of working together with other people toward a goal? 
  • Can you think of a time at Yavneh you worked together with someone very different from yourself? What did you learn from the experience? 
  • What do you think is the best way to work together with someone from whom you are very different (language barrier, different interests or background, etc.)?